Thursday, April 21, 2011

Attached: crystal structures:
# 1
Calculated XRD peak list
Compound: ZnHgC4Se4N4
Radiation: a wavelength of 1.5418 Å
Structure: a structure optimized by DFT (PBE)
Lines closer than 0.1° are merged.

Largest 8 diffraction maxima, in order of rising 2θ, 10 to 90 degrees two-theta:
2theta  I_rel
10.88  66
15.40  41
25.04  100
29.53  37
33.47  30
34.87  23
43.41  23
44.45  38

Atomic structure:
```
ZnHgC4Se4N4
1.0
-5.7527 5.7527 2.4608
5.7527 -5.7527 2.4608
5.7527 5.7527 -2.4608
Zn Hg C Se N
1 1 4 4 4
direct
0.0000 0.0000 0.0000
0.2500 0.7500 0.5000
0.2823 0.5717 0.1431
0.4283 0.5714 0.7106
0.4286 0.1392 0.8569
0.8608 0.7177 0.2894
0.1059 0.3303 0.5414
0.4355 0.8941 0.2245
0.6697 0.2110 0.7755
0.7890 0.5645 0.4586
0.1850 0.3642 0.0873
0.2769 0.0977 0.9127
0.6358 0.7231 0.8207
0.9023 0.8150 0.1793
```


# 2
Calculated XRD peak list
Compound: Rb3ScBr6
Radiation: a wavelength of 1.5418 Å
Structure: a structure optimized by DFT (PBE)
Lines closer than 0.1° are merged.

Largest 8 diffraction maxima, in order of rising 2θ, 10 to 90 degrees two-theta:
2theta  I_rel
14.99  17
21.26  20
26.11  87
30.24  100
43.30  67
51.26  31
53.72  21
71.36  23

Atomic structure:
```
Rb3ScBr6
1.0
0.0000 5.9108 5.9108
5.9108 0.0000 5.9108
5.9108 5.9108 0.0000
Rb Sc Br
3 1 6
direct
0.0000 0.0000 0.0000
0.2500 0.2500 0.2500
0.7500 0.7500 0.7500
0.5000 0.5000 0.5000
0.2751 0.2751 0.7249
0.2751 0.7249 0.2751
0.2751 0.7249 0.7249
0.7249 0.2751 0.2751
0.7249 0.2751 0.7249
0.7249 0.7249 0.2751
```

~~~~~

Starting from DFT lattice parameters and positions (PBE+U), the PXRD pattern of SrCo2As2O8 was simulated for λ = 1.5418 Å (Cu Kα).

Structural model:
a b c (Å): 4.9864 4.9864 21.9314
angles (deg): 90.00 90.00 120.00
Space group R-3 (No. 148, hexagonal axes)
Inequivalent atoms, fractional coordinates:
Sr: 0.0000 0.0000 0.0000 (multiplicity 3)
Co: 0.0000 0.0000 0.1718 (multiplicity 6)
As: 0.0000 0.0000 0.4192 (multiplicity 6)
O: 0.0000 0.0000 0.3425 (multiplicity 6)
O: 0.0066 0.6559 0.7772 (multiplicity 18)

The 6 most intense peaks (2θ = 10–80°), most intense first:
- 2θ 29.02, rel. 100, hkl 0 1 5
- 2θ 36.02, rel. 87, hkl 1 1 0
- 2θ 35.40, rel. 44, hkl 1 0 7
- 2θ 63.07, rel. 43, hkl 1 1 12
- 2θ 46.90, rel. 29, hkl 2 0 5
- 2θ 64.77, rel. 27, hkl 3 0 0

~~~~~

No. 1
# RbAcIO6
Theoretical powder diffraction line list, Cu Kα. Input: a GGA-PBE-relaxed structure.
No peak broadening, texture or thermal motion is included.

abc: 6.166 6.166 11.180
angles: 90.00 90.00 120.00
Fractional positions:
Rb (0.000, 0.000, 0.000)
Rb (0.000, 0.000, 0.500)
Ac (0.333, 0.667, 0.250)
Ac (0.667, 0.333, 0.750)
I (0.333, 0.667, 0.750)
I (0.667, 0.333, 0.250)
O (0.073, 0.419, 0.653)
O (0.073, 0.654, 0.847)
O (0.346, 0.419, 0.847)
O (0.346, 0.927, 0.653)
O (0.419, 0.073, 0.153)
O (0.419, 0.346, 0.347)
O (0.581, 0.654, 0.653)
O (0.581, 0.927, 0.847)
O (0.654, 0.073, 0.347)
O (0.654, 0.581, 0.153)
O (0.927, 0.346, 0.153)
O (0.927, 0.581, 0.347)

Largest 10 diffraction maxima, in order of rising 2θ, 2θ from 10° to 80°:
The crystal structures stop here:

DEAN MARTIN: Coolest Of The Cool

Hey pallies, likes I simply loves to search blogs for Dino-devotion wherever it may be found. Today's Dino-reflections comes from a blog tagged "Faustian urGe Fist" where a dude tagged Coronare Modestus Faust holds forth. Tried for find out more info 'bout Faust, but to no avail... it does appear that most of the blog posts at this pad revolve 'round social/politico issues.

Anyway likes pallies this dude is likes truly in the Dino-know taggin' our beloved Dino as the "Coolest Of The Cool," which is likes simply speakin' the Dino-truth. Loves to read the Dino-praises that Faust lauds our great man with....."Dean Martin evoked a sense of happiness, goodness, pleasure that enriched lives." Happiness, Goodness, and Pleasure are certainly all worthy attributes of the gifts that our beloved Dino bestows on all of his true pallies!

Likes encourages all you pallies to read each and every Dino-thought espoused by Mr. Faust and will be lookin' forward to your Dino-patter on Faust's take on our great man.

Thanks to Coronare Modestus Faust for boldly and belovedly speakin'his Dino-admiration to his readers and helpin' them to grow in knowin', lovin', and honorin' our amazin' Dino! Likes as usual, to read this Dino-prose in it's original format, just clicks on the tagg of this Dino-message. Dino-loved, DMP

DEAN MARTIN: Coolest Of The Cool

By Coronare Modestus Faust

Between two parts of the article: records of crystals:
/*
The following is a calculated powder X-ray diffraction pattern of Ca3B6O20. It was derived from the PBE geometry in the Materials Project, using Cu Ka.
Kinematic intensities with the Lorentz-polarization factor, no thermal factor.

Top 12 peaks for 2θ from 5° to 70°, sorted by position:
| two_theta | intensity |
| --- | --- |
| 11.90 | 100 |
| 14.92 | 30 |
| 16.00 | 91 |
| 22.26 | 36 |
| 22.59 | 79 |
| 23.66 | 67 |
| 30.07 | 33 |
| 31.75 | 61 |
| 35.86 | 33 |
| 36.25 | 29 |
| 36.79 | 28 |
| 47.49 | 36 |

Structure:
```
Ca3B6O20
1.0
6.7274 -4.8547 0.0000
6.7274 4.8547 0.0000
-6.3694 0.0000 11.8938
Ca B O
6 12 40
Direct
0.0100 0.9900 0.7500
0.2992 0.6337 0.0639
0.3663 0.7008 0.4361
0.6337 0.2992 0.5639
0.7008 0.3663 0.9361
0.9900 0.0100 0.2500
0.0288 0.6039 0.1679
0.1054 0.2249 0.6774
0.2249 0.1054 0.1774
0.2753 0.4185 0.8296
0.3961 0.9712 0.3321
0.4185 0.2753 0.3296
0.5815 0.7247 0.6704
0.6039 0.0288 0.6679
0.7247 0.5815 0.1704
0.7751 0.8946 0.8226
0.8946 0.7751 0.3226
0.9712 0.3961 0.8321
0.0162 0.7341 0.1161
0.0479 0.1437 0.1441
0.0584 0.6983 0.2946
0.0606 0.6672 0.5982
0.0799 0.6941 0.5202
0.1273 0.4792 0.8800
0.1437 0.0479 0.6441
0.1928 0.4993 0.1472
0.2158 0.3424 0.7071
0.2659 0.9838 0.3839
0.2849 0.4092 0.3807
0.3017 0.9416 0.2054
0.3059 0.9201 0.9798
0.3328 0.9394 0.9018
0.3424 0.2158 0.2071
0.3952 0.5401 0.8815
0.4092 0.2849 0.8807
0.4599 0.6048 0.6185
0.4792 0.1273 0.3800
0.4993 0.1928 0.6472
0.5007 0.8072 0.3528
0.5208 0.8727 0.6200
0.5401 0.3952 0.3815
0.5908 0.7151 0.1193
0.6048 0.4599 0.1185
0.6576 0.7842 0.7929
0.6672 0.0606 0.0982
0.6941 0.0799 0.0202
0.6983 0.0584 0.7946
0.7151 0.5908 0.6193
0.7341 0.0162 0.6161
0.7842 0.6576 0.2929
0.8072 0.5007 0.8528
0.8563 0.9521 0.3559
0.8727 0.5208 0.1200
0.9201 0.3059 0.4798
0.9394 0.3328 0.4018
0.9416 0.3017 0.7054
0.9521 0.8563 0.8559
0.9838 0.2659 0.8839
```


The following is a calculated powder X-ray diffraction pattern of CaB3O10. It was derived from the PBE geometry in the Materials Project, using Cu Ka.
Kinematic intensities with the Lorentz-polarization factor, no thermal factor.

Top 12 peaks for 2θ from 5° to 70°, sorted by position:
| two_theta | intensity |
| --- | --- |
| 9.69 | 100 |
| 16.46 | 13 |
| 20.92 | 18 |
| 22.08 | 10 |
| 24.66 | 16 |
| 28.08 | 11 |
| 28.52 | 10 |
| 29.36 | 13 |
| 29.57 | 11 |
| 29.76 | 12 |
| 30.36 | 21 |
| 43.85 | 14 |

Structure:
```
CaB3O10
1.0
5.7492 0.0000 0.0000
0.7684 6.4086 0.0000
2.7557 2.0128 9.1248
Ca B O
2 6 20
Direct
0.2363 0.1742 0.1225
0.7637 0.8258 0.8775
0.2300 0.6762 0.1346
0.3295 0.4807 0.3601
0.4449 0.1896 0.7771
0.5551 0.8104 0.2229
0.6705 0.5193 0.6399
0.7700 0.3238 0.8654
0.0141 0.8282 0.1684
0.0238 0.0782 0.4501
0.1886 0.2300 0.8699
0.1957 0.7141 0.8803
0.2287 0.5810 0.0021
0.2306 0.4785 0.2430
0.2700 0.3207 0.4820
0.4323 0.8028 0.1021
0.4757 0.6405 0.3502
0.4856 0.9838 0.7462
0.5144 0.0162 0.2538
0.5243 0.3595 0.6498
0.5677 0.1972 0.8979
0.7300 0.6793 0.5180
0.7694 0.5215 0.7570
0.7713 0.4190 0.9979
0.8043 0.2859 0.1197
*/

A time existed when entertainment was just that… entertaining.
Talents like Dean Martin evoked a sense of happiness, goodness, pleasure that enriched lives. Would that our culture today supported and valued these traits again… and television might just become worth watching once more. Hats off to you, Dean, you’re missed…

You know, entertainers like Dean Martin, Frank Sinatra, Dinah Shore, et al, grew up with lesser means and in lower-class settings, yet what they strove toward and achieved was to become something better than as they started, to achieve a sophistication, to be more than just famous and rich… and they were also “pop.”

To be sure, these folks were deeply flawed like anyone else. Sinatra had a wild temper. Martin drank and smoke constantly… on air and off. Some of them had tremendous addictions. Yet, when they went on stage, they delivered us the better self, the talented self, the self they strode toward. They recognized that humanity in themselves.

Long after they had passed the peak of their careers or worked together, they respected their shared humanity and shared it with the world.

After Dean Martin’s son died in an air force accident, Dean fell into a deep depression. Despite the wealth and fame, what he valued most just left this realm, and he knew he was poorer for the loss. So tirade-driven, mean-spirited Sinatra showed his real humanity and took on a personal mission to provide meaning back into Martin’s life. Sinatra took these ol’ boys back on the road to show his pal that he and millions of fans appreciated their humanity.

Today is a different world. It too often seems that todays “pop” stars don’t really show much interest in this kind of growth, in this kind of goal setting, in this kind of mentorship for their starry-eyed followers.

The meaning of entertainment has changed, and we are all the lesser for it. Thanks, Dean, for the memories…


  1. Faust is truly a wise man! He is so right that today's entertainers just dont posses the TRUE talent or the connection to the public as Dino. Thanks for the memories Dean!

    Stella G.
    and Danny G.

  2. Hey pallie, indeed Faust truly knows where our Dino is at...never was, never will be anyone as cool as our King of Cool! Indeed Dino is the Coolest of the Cool! Keeps lovin' our Dino!

Misplaced crystal structures:
<<<
Ce4PmSb5: theoretical X-ray diffraction stick pattern (Cu Kα, 1.54184 Å), based on a cell relaxed with PBE.
Kinematic intensities with the Lorentz-polarization factor, no thermal factor.

Crystal structure
Cell: 4.4929 6.3647 22.5354 Å, 90.00 90.00 90.00°
Space group Immm (No. 71)
Unique sites:
Ce 0.0000 0.0000 0.0997 (multiplicity 4)
Ce 0.0000 0.0000 0.3003 (multiplicity 4)
Pm 0.0000 0.0000 0.5000 (multiplicity 2)
Sb 0.0000 0.5000 0.1003 (multiplicity 4)
Sb 0.0000 0.5000 0.3002 (multiplicity 4)
Sb 0.0000 0.5000 0.5000 (multiplicity 2)

The 12 most intense peaks (10 to 90 degrees two-theta), sorted by position:
hkl 1 0 5, 2θ = 28.0°, intensity 100; hkl 1 2 5, 2θ = 40.1°, intensity 64; hkl 2 0 0, 2θ = 40.1°, intensity 13; hkl 0 2 10, 2θ = 49.6°, intensity 14; hkl 2 2 0, 2θ = 49.7°, intensity 14; hkl 2 0 10, 2θ = 58.0°, intensity 13; hkl 2 2 10, 2θ = 65.6°, intensity 29; hkl 3 0 5, 2θ = 65.7°, intensity 6; hkl 1 2 15, 2θ = 72.7°, intensity 13; hkl 3 2 5, 2θ = 72.9°, intensity 13; hkl 0 0 20, 2θ = 86.3°, intensity 1; hkl 2 4 10, 2θ = 86.5°, intensity 6


Structure and theoretical powder diffraction line list of NaAuS4O14 (a crystal structure in OQMD, relaxed with PBE; copper Kα).
Neutral-atom scattering factors, no anomalous dispersion.

```
data_NaAuS4O14
_cell_length_a 5.268
_cell_length_b 11.828
_cell_length_c 9.691
_cell_angle_alpha 90.00
_cell_angle_beta 114.81
_cell_angle_gamma 90.00
_symmetry_space_group_name_H-M 'P 1 21/c 1'
_symmetry_Int_Tables_number 14
loop_
_symmetry_equiv_pos_as_xyz
'x,y,z'
'-x,-y,-z'
'-x,y+1/2,-z+1/2'
'x,-y+1/2,z+1/2'
loop_
_atom_site_label
_atom_site_fract_x
_atom_site_fract_y
_atom_site_fract_z
Na1 0.000 0.000 0.000
Au1 0.500 0.000 0.500
S1 0.276 0.037 0.742
S2 0.354 0.230 0.583
O1 0.051 0.001 0.778
O2 0.171 0.159 0.660
O3 0.179 0.174 0.022
O4 0.269 0.541 0.114
O5 0.321 0.155 0.447
O6 0.364 0.741 0.807
O7 0.450 0.552 0.639
```

Top 6 peaks for 2θ from 15° to 90°, in order of falling intensity:
| 2theta | I_rel |
| --- | --- |
| 25.8 | 100 |
| 18.6 | 66 |
| 29.3 | 50 |
| 30.2 | 31 |
| 36.4 | 24 |
| 33.6 | 21 |

=====

Structure and theoretical powder diffraction line list of NaOsAu3Se4 (a crystal structure in OQMD, relaxed with PBE; copper Kα).
Neutral-atom scattering factors, no anomalous dispersion.

```
data_NaOsAu3Se4
_cell_length_a 6.362
_cell_length_b 6.362
_cell_length_c 6.362
_cell_angle_alpha 90.00
_cell_angle_beta 90.00
_cell_angle_gamma 90.00
_symmetry_space_group_name_H-M 'P -4 3 m'
_symmetry_Int_Tables_number 215
_symmetry_space_group_name_Hall 'P -4 2 3'
loop_
_atom_site_label
_atom_site_fract_x
_atom_site_fract_y
_atom_site_fract_z
Na1 0.000 0.000 0.000
Os1 0.500 0.500 0.500
Au1 0.000 0.500 0.500
Se1 0.281 0.281 0.281
```

Top 6 peaks for 2θ from 15° to 90°, in order of falling intensity:
| 2theta | I_rel |
| --- | --- |
| 40.1 | 100 |
| 24.2 | 59 |
| 31.4 | 30 |
| 72.8 | 30 |
| 28.0 | 28 |
| 47.4 | 28 |

=====
>>>

  3. The meaning of entertainment has changed, and we are all the lesser for it.

    Ain't that the truth?

    Maybe if our Dino were still with us, he could still get on the best hits charts. Remember that he once knocked the Beatles out of position 1 with "Everybody Loves Somebody"?

  4. I just watched the first video in this post. A real gem!

  5. Hey pallie, indeed Miss AOW, likes if our Dino was still recordin' he woulda certainly knock all of today's musical artists off the charts....I likes hopes that they release the newly discovered Dino-version of "Rock A Bye Your Baby" as a new single...I certainly thinks it has great potential to be a chart bustin' Dino-hit! Glads to hear that you so enjoyed that Dino-clip! Keeps lovin' our Dino!
